Battery replacement for battery-only Igaging DROs?


H-M Supporter - Gold Member
H-M Supporter Gold Member
Jul 28, 2017
I've got 5 Igaging remote-reading DROs on my mini machines (three on my mill and two on my lathe). They can only use CR2032 batteries, and they all seem to eat them quite rapidly. I have stacks of dead batteries waiting to be recycled. I got fed up with continually swapping them out so initially modified one of my DROs by opening up the controller and soldering wires to the internal power and ground connections, then connected them to a battery holder with two D cells. D cells have a MUCH higher mA-Hr rating than CR2032's. Unfortunately, the extra wires (and perhaps the slightly lower supply voltage of 3.0V vs. 3.3) caused the position readout to become extremely unstable due to noise pickup. I had traded one annoying problem for an impossible one. I also didn't like the necessity of modifying the DROs in order to hook up the external power.

Thinking about it some more, I realized that the USB connector brings out Vcc and Gnd (to power the sensor on the scale). So I could access power and ground by making a little board with a male USB connector on one end and a female on the other. The male would plug into the controller and the female would accept the cable from the sensor. An external (noisy) supply line would be conditioned by a pi topology RC filter on the board. Much cleaner, and a way to do it without modifying the controller. PCBs are so cheap now that the whole thing would pay for itself fairly quickly. Not to mention the reduced annoyance factor.

This idea seems so obvious (in retrospect) that I'm wondering if anyone else has tried it, and, if so, how it worked for them. Even if their solution involved just opening up the cable and soldering wires to Vcc and Gnd, I'd like to know.
I've been switching a lot of my things over to use Li-on batteries. The 18650 is about 4 volts when fully charged. There are all kinds of cheap voltage regulator modules in any voltage you want. Some are adjustable. So my stock pile of parts contains battery holders for 1-4 cells, regulators in most common voltages, and a good 2 cell charger with all the safety cutouts (over voltage, over current over temperature and maybe a few more OVERS;)) oh yes and a bunch of batteries. Start with one of each and if you like them then buy in quantity.
That's just my take.
Ferrite snap-on filters might work there, or toroid cores from an old computer power supply. Florescent lighting could be one culprit
Ferrite snap-on filters might work there, or toroid cores from an old computer power supply. Florescent lighting could be one culprit
The main source of EMI is the mini mill's motor controller. I could see the DRO readout numbers' wild fluctuations settle down as soon as I turned the motor off. I did try shielding the motor cables -- only a slight improvement; and a snap-on filter on the mill's power cord -- no improvement. Shielding the DRO cables produced a noticeable improvement but did not completely cure the problem. Electrically Isolating the scales from the mill did nothing.

**Data records, as found in the file:**
<<<
Starting from a PBE-relaxed structure, the X-ray powder pattern of Cd3S3O20 was computed for CuKα.
Neutral-atom scattering factors, no anomalous dispersion.

Peak list (12 most intense, 15 to 90 degrees two-theta, in order of rising 2θ)
index, two_theta, d (Å), I_rel
0 0 2, 18.31, 4.846, 32
2 1 0, 19.41, 4.572, 29
2 0 -1, 21.40, 4.153, 54
1 1 -2, 23.13, 3.846, 66
1 -1 2, 23.32, 3.814, 30
-2 1 1, 24.31, 3.661, 62
2 2 2, 28.67, 3.114, 100
2 2 -2, 32.20, 2.780, 67
-2 2 2, 34.05, 2.633, 33
2 -2 2, 34.29, 2.615, 33
0 0 4, 37.10, 2.423, 28
4 0 0, 37.86, 2.376, 32

Crystal structure
a b c (Å): 9.668 9.728 9.759
angles (deg): 84.58 85.16 80.13
Space group P1 (No. 1)
One atom of each set of equivalent atoms:
Cd 0.000 0.000 0.000 [1 per cell]
Cd 0.036 0.971 0.504 [1 per cell]
Cd 0.272 0.465 0.759 [1 per cell]
Cd 0.504 0.246 0.243 [1 per cell]
Cd 0.541 0.732 0.245 [1 per cell]
Cd 0.759 0.495 0.765 [1 per cell]
S 0.003 0.737 0.794 [1 per cell]
S 0.020 0.231 0.715 [1 per cell]
S 0.268 0.000 0.210 [1 per cell]
S 0.501 0.503 0.003 [1 per cell]
S 0.523 0.481 0.503 [1 per cell]
S 0.770 0.986 0.288 [1 per cell]
O 0.012 0.182 0.578 [1 per cell]
O 0.014 0.790 0.929 [1 per cell]
O 0.084 0.113 0.811 [1 per cell]
O 0.094 0.677 0.382 [1 per cell]
O 0.106 0.346 0.698 [1 per cell]
O 0.129 0.642 0.264 [1 per cell]
O 0.144 0.668 0.743 [1 per cell]
O 0.155 0.044 0.318 [1 per cell]
O 0.208 0.993 0.077 [1 per cell]
O 0.214 0.328 0.392 [1 per cell]
O 0.250 0.282 0.963 [1 per cell]
O 0.286 0.235 0.463 [1 per cell]
O 0.332 0.908 0.625 [1 per cell]
O 0.339 0.218 0.882 [1 per cell]
O 0.339 0.859 0.257 [1 per cell]
O 0.367 0.103 0.186 [1 per cell]
O 0.369 0.868 0.741 [1 per cell]
O 0.375 0.475 0.556 [1 per cell]
O 0.421 0.556 0.881 [1 per cell]
O 0.449 0.581 0.125 [1 per cell]
O 0.491 0.351 0.035 [1 per cell]
O 0.532 0.627 0.448 [1 per cell]
O 0.561 0.383 0.393 [1 per cell]
O 0.621 0.441 0.614 [1 per cell]
O 0.652 0.905 0.306 [1 per cell]
O 0.653 0.516 0.970 [1 per cell]
O 0.658 0.104 0.770 [1 per cell]
O 0.682 0.796 0.601 [1 per cell]
O 0.705 0.061 0.882 [1 per cell]
O 0.718 0.133 0.233 [1 per cell]
O 0.731 0.741 0.048 [1 per cell]
O 0.774 0.721 0.535 [1 per cell]
O 0.790 0.659 0.139 [1 per cell]
O 0.827 0.988 0.423 [1 per cell]
O 0.876 0.283 0.775 [1 per cell]
O 0.882 0.923 0.186 [1 per cell]
O 0.884 0.374 0.210 [1 per cell]
O 0.901 0.638 0.815 [1 per cell]
O 0.947 0.298 0.123 [1 per cell]
O 0.957 0.854 0.690 [1 per cell]

=====

Starting from a PBE-relaxed structure, the X-ray powder pattern of CdSO3 was computed for CuKα.
Neutral-atom scattering factors, no anomalous dispersion.

Peak list (12 most intense, 15 to 90 degrees two-theta, in order of rising 2θ)
index, two_theta, d (Å), I_rel
0 2 0, 19.67, 4.513, 37
1 1 0, 21.79, 4.079, 100
0 2 1, 23.19, 3.836, 19
1 2 -1, 30.26, 2.953, 15
0 2 2, 31.57, 2.834, 65
0 3 1, 32.19, 2.781, 31
1 1 -2, 32.69, 2.739, 35
1 1 2, 33.26, 2.694, 38
1 3 0, 35.72, 2.513, 31
2 0 0, 39.41, 2.286, 28
2 0 -2, 46.48, 1.954, 17
2 2 -2, 50.96, 1.792, 17
>>>

The best results came from a combination of inserting an RC filter in each sensor's Vcc connection, shielding the DRO cables, and hard-wiring the scale bodies to their respective DRO grounds. The last step seems counter-intuitive, because it introduces a ground loop; but it worked for all 3 DROs. Even with all this, on occasion a DRO will STILL go nuts. That's a sign that the batteries in that particular DRO are starting to go flat. I think low supply voltage decreases the circuit's noise immunity, so that's another reason to go with an external supply. I will design the supply to include battery backup in case of power failure.

I suspect the hardwired ground approach worked because the scale is made from aluminum, which readily forms an insulating oxide skin. The sensor (sender?) has a sliding contact to connect the scale to its internal ground (I ohmed it out to verify this) , but if it's highly resistive the scale can bounce around, electrically speaking. Since the sensor uses capacitive coupling to read out its position, this is a Bad Thing. One way around this would be to use the more expensive stainless steel rules -- no oxide skin to interfere with the sliding contact. If/when any of my current DROs fail, I will replace it with the stainless steel version.
So the EMI is coming from the motor controller directly through the air. That's a hard one to solve, you can't easily stop it at the source.
I didn't know about the oxide skin issue, kinda sucks
So the EMI is coming from the motor controller directly through the air. That's a hard one to solve, you can't easily stop it at the source.
I didn't know about the oxide skin issue, kinda sucks

Yes, I've found it a difficult nut to crack. The oxide skin problem is an hypothesis, but it appears to be consistent with the solution I found (pretty much in desperation :().

For additional confirmation of the oxide skin theory, I have two DROs installed on my mini lathe (it also uses a PWM style motor controller). I bought them after I solved the DRO problems on my mill, so they DO use the stainless steel scales. Initially I had some noise problems with them, too; but just implementing the inline supply filters took care of it. No additional shielding or external connections to the scale. They still eat batteries pretty fast so if my external supply idea works I'll install the external adapters for them, too.

BTW, implementing the inline filters did require some board surgery. I cut the Vcc trace, inserted a 1K resistor and installed a 1uF cap to ground on the other side of the resistor. The sensor draws at most 70uA -- that's if it draws the lion's share of current, which likely is not the case. So worst-case there's just a 70 millivolt drop across the 1K resistor. The RC time constant is 1 millisecond so it's not filtering out 60 Hz noise -- just the higher frequency stuff coming from the motor controller. But that appears to suffice.
A different setup as I am using the iGaging scales with the Touch DRO. I had EMC problems with my lathe motor when the motor was switched off. I tried a number of solutions and finally end up soldering bypass capacitors across the power leads in the pickup heads. That solved my problem.
A ten microfarad tantalum capacitor soldered at the DRO end of your run should fix your induced noise problem. Keep in mind that tantalum caps are polarized, so get the plus and minus connections right. Tantalum capacitors have VERY low impedance, and they snub stray signals quite well.

As someone said, and 18650 lithium with a low drop out (LDO) regulator can work, or a disposable 3.3 volt lithium battery can work too. The disposable 3.3. volt cell will not require a regulator. Even a 3.3 volt disposable which is half as long as a AA battery should give you a run time at least 30 times longer than your existing CR2032 button cell.
I finally got my power adapter boards in and built one up to see how it works. It didn't power-up the DRO at all, so I got out my DVM and did some measurements. I won't go into all the stuff I did, but I discovered that the particular DRO I chose to test my battery replacement scheme draws _much_ more current than the one I initially used to "vet" my design. I'm talking about 70 micro-amps for your average Igaging DRO, but THIS one draws 1.5mA!!! OK, it is probably defective -- but the darn thing works fine if it has a power source that is stiff enough to provide that current. Of course, that kind of current draw translates to short battery life -- but that's what I've been dealing with all along.

The bright side is that my USB jack/plug connections are OK. I built up a second board but bypassed the filter so it was hardwired to the 3.3V power supply, and that one worked just fine.

So version 2 will use a board-level power supply regulator to condition the voltage going into the DRO. At this point I can't return the deviant DRO so, since it is working OK other than the supply current problem, that's the most expedient solution. 10 PCBs are less than $10 in total so it also is the cheapest.

One issue I ran into with this project is that, as far as I could determine, all inexpensive USB plugs are meant to be used in a USB cable assembly, so they're not compatible with a PCB. I looked at the plug dimensions and figured out that, at least for the older-style mini-B connectors used on my Igaging DROs, I could mount a cable-style jack if I used a thinner PCB and added cutouts on the PCB to accommodate the housing body. At least that part of the project worked OK....

Fortunately, the PCBs were really inexpensive so I'm not out much, other than time. And for a hobbyist that's OK.
Were the PCBs you used 'off the shelf' or special made? If special, from where?